It's commonly thought that people are more likely to accept income inequalities if they believe these arise from equality of opportunity.For example, some attribute the relative weakness of the US welfare state to the fact that Americans believe (wrongly) that the poor have plenty of chances (pdf) to get ahead.
But what exactly is the link between perceptions of fair opportunity and demand for fair outcomes? Some experiments by Eugenio Proto and colleagues at Warwick University shed some worrying light.
They got people to play an ultimatum game, where one person proposes to split £10 between themselves and a partner. If the partner accepts the offer, both get the money agreed. If the partner rejects the offer, nobody gets anything.
The wrinkle was that the role of proposer - the advantaged position - was allocated by lottery which was either fair (giving people a 50-50 chance) or biased.
They found that when the lottery was fair, responders on average rejected offers of £2.15 or less. But when the lottery gave people zero chance of being a proposer, responders rejected offers of £2.96 or less.
This corroborates common sense. If people feel they have unequal chances, they'll demand more equal outcomes.
But what about intermediate levels of unfairness? When the chances of being a proposer were 20%, responders rejected offers of £2.39 or worse. And when the chances were 1%, they rejected offers of £2.53 or worse.
We can put this another way. The difference between a zero and one per cent chance is worth 43p - the difference between £2.96 and £2.53. But the difference between a 1% chance and 50% chance is only worth 38p - the difference between £2.53 and £2.15.
In other words, what people value most is having some chance - 1% versus nothing. Having greater opportunity - moving from a 20% to 50% chance isn't so valuable, in the sense that it doesn't so much affect bargaining behaviour.
This has (at least) two implications.
One is that it shows that people value procedural utility; having some chance to affect the outcome is what matters to them, rather than having a big chance.
The other is that, once some small chance exists, people don't greatly care about equalizing chances. They care more about having a small chance than about increasing their chances. These laboratory experiments confirm what we see in public opinion - that, like it or not, there is little demand for policies that would greatly equalize opportunity, such as abolishing private education or steep inheritance taxes.
I don't know why this is; I suspect it's related to the certainty effect. But surely lefties should be disquieted by the fact that egalitarian impulses can be bought off so cheaply even in laboratory conditions.
Good find and a very interesting study. Definitely useful when considering public opinion and potential policies.
Posted by: Woj | May 24, 2012 at 06:42 PM
"For example, some attribute the relative weakness of the US welfare state to the fact that Americans believe (wrongly) that the poor have plenty of chances (pdf) to get ahead."
The study you link to compares the US with the UK and the Nordic countries. Such a comparison hardly proves the American public wrong in their belief. Why did they exclude France, for example.
Comparisons with the Nordic countries - which are successful for specific reasons not common to most of the world - are usually the sign of somebody trying to fudge their way to a predetermined conclusion.
Posted by: Tim Newman | May 24, 2012 at 06:54 PM
Re "there is little demand for policies that would greatly equalize opportunity, such as abolishing private education or steep inheritance taxes".
I think a factor in both of these is the belief of some (perhaps many) that they too may become successful enough to send their kids to private school and provide a significant inheritance. This belief probably persists way beyond the point where the jury is in.
Like it or not, private education, like yachts and Aston Martins, is aspirational. People tend not to be keen on abolishing their dreams.
It is also instrumental. In other words, Gove and Clegg's speeches deploring the disproportionate success of the privately educated just serves to reinforce the perceived value of this "leg up". They should get marketing awards.
Rather than abolish private schools, we should simply limit them to 7% of Russell Group places and professional certifications (medicine, law, accountancy etc). Equality of outcome, rather than opportunity, would be better.
Posted by: Account Deleted | May 24, 2012 at 07:37 PM
"Rather than abolish private schools, we should simply limit them to 7% of Russell Group places and professional certifications (medicine, law, accountancy etc). Equality of outcome, rather than opportunity, would be better."
I agree that equality of outcome is realistic if that is what you mean, as the other kind is largely a myth and always was. But your plan is unworkable politically if people think private education gives their children an advantage why would they back a limit on the number who can exploit the advantage? That is wasting your money. Unless people accept the fairness argument against privilege it is no more practical than proposing to abolish private education altogether.
I always doubt the applicability of these lab based games to actual society. A firm grasp of the low probability of actually leaving a fortune to your kids is more useful as an argument for inheritance taxation. But most people never seem to do the math.
Posted by: Keith | May 25, 2012 at 12:40 AM
• Records of molecules that have nothing to do with the entry:
- - -
No. 1
2 unconnected molecules or ions with the total composition C4H14NOS, computed with ωB97M-V with the def2-TZVPD basis set.

The value obtained for the gap between HOMO and LUMO is 10.10 eV. The LUMO energy comes out at -3.19 eV.

Geometry as ORCA input:
```
! wB97M-V def2-TZVPD RIJCOSX def2/J DEFGRID3
* xyz 1 1
S -2.21241 0.62586 -1.12087
O 3.26397 0.21081 -0.50718
N 0.47544 1.04079 0.26907
C 1.37537 -0.62916 1.88205
C -0.66794 -1.14744 0.45146
C 0.14066 -0.15139 1.24095
C -1.12443 -0.77452 -0.92374
H -1.62243 -1.73425 -1.36553
H 1.34660 -1.03188 2.89471
H 0.03705 -1.95259 0.23868
H -1.54682 -1.19774 0.99424
H -2.98008 0.10600 -0.14845
H 1.40686 0.74759 -0.04723
H 3.84707 0.92969 -0.62215
H 2.25958 0.01472 1.80857
H -0.19210 1.13180 -0.58530
H -0.50091 0.33456 2.03838
H 0.69917 1.86938 0.80517
H 1.88395 -1.40236 1.24659
H -0.30715 -0.52978 -1.59579
H 3.28592 -0.05597 -1.45827
*
```

Here are the Löwdin charges for atoms 1 to 6, given in e:
1 S 0.806
2 O -0.031
3 N 0.165
4 C -0.060
5 C -0.213
6 C -0.324


No. 2
19 unconnected molecules or ions with the total composition C24H64BrN19O38, computed with ωB97M-V with the def2-TZVPD basis set.

The value obtained for the gap between HOMO and LUMO is 9.48 eV. The LUMO energy comes out at -0.86 eV.

Geometry as ORCA input:
```
! wB97M-V def2-TZVPD RIJCOSX def2/J DEFGRID3
* xyz 0 1
Br -0.54284 0.27192 -1.04248
O -1.64489 -4.28100 0.46769
O 1.61671 -6.83238 -2.68727
O 4.08290 3.66350 -1.37232
O -2.34400 8.14660 2.20158
O -4.88448 2.44081 -1.18692
O 3.48058 5.72833 -4.85913
O -6.95434 -3.10376 0.81697
O -6.41471 -7.16782 1.82540
O 3.51062 3.71819 -5.76004
O 5.35642 -9.25465 -1.53037
O -0.27793 -7.93121 -2.92421
O -2.31396 6.13645 1.30066
O -6.94671 -3.48244 -1.35323
O 13.96519 -10.57043 -2.55756
O -2.02805 -8.14202 3.25259
O 5.55049 -10.12591 -3.54444
O -6.85591 6.60194 0.96248
O -10.75080 -4.08062 -5.19854
O 1.05744 12.34183 4.20581
O 5.41377 2.36041 2.69525
O -7.82204 6.65724 2.94156
O -1.64256 1.27227 3.47973
O 1.66634 4.11870 1.99845
O -2.60870 1.32757 5.45881
O 8.00872 -13.81261 -4.73561
O 0.09130 12.39714 6.18489
O 15.41842 -12.02807 -3.34282
O -0.62218 8.53266 7.39169
O -2.98984 3.53963 -0.94997
O -0.42810 7.66141 5.37763
O 6.77210 2.80498 4.37172
O -4.72939 6.81365 -5.05097
O -4.70665 7.47272 -2.94899
O -10.72805 -3.42155 -3.09655
O -2.05080 -8.80110 1.15061
O -6.43745 -7.82689 -0.27658
O 9.90336 -12.71378 -4.49866
O -3.17006 -4.80006 -1.03485
N -1.48390 -8.39361 2.17108
N 0.15216 2.22182 1.12912
N 0.38325 -6.91796 -2.66937
N -7.30743 -3.72073 -0.19484
N 8.66990 -12.79936 -4.48077
N 14.27095 -11.60257 -3.16581
N 3.99679 4.62579 -5.07521
N 5.16699 -9.25743 -2.75234
N -2.50464 -3.99458 -0.37366
N -5.87055 -7.41940 0.74388
N -0.81160 8.52989 6.16973
N -6.85998 6.81375 2.18063
N -10.18390 -3.67313 -4.17807
N -4.16249 7.22114 -4.03051
N -4.22330 3.45406 -0.93208
N 1.05337 12.55365 5.42396
N -1.64663 1.48408 4.69788
N 5.67952 2.85862 3.79537
N -1.82779 7.04405 1.98549
C 1.62888 3.18313 -0.56464
- - -
Lefties should be disquieted indeed, and proponents of supply-side economics should be as well. Free market is supposed to be optimal only if people behave more or less rationally. If people are selfish to the point of NOT pursuing their self-interest, there is a problem.
This is not a marginal issue, especially as taxes are concerned. I copy-paste below a comment I left a few days ago on Mark Thoma's blog about people's attitude towards taxes.
"Like the USA, Switzerland is a decentralized federation, with a lot of tax and budget autonomy at city, state and national levels. It is also a direct democracy that allows citizens to run referendums and propositions on pretty much everything at each of those three levels. It means that Swiss people pay the taxes they directly voted for.
And tax votes in the past 30 years appear to show some counter-intuitive results:
Unrelated to this entry: records of molecules
- - -
[1]
A single C5H3I molecule at a distorted geometry, computed with ωB97M-V/def2-TZVPD.

Atoms and positions in Å:
C (-0.580, -1.430, -0.345)
C (-1.007, 0.173, 0.144)
C (0.271, -0.429, -0.061)
C (-2.194, 0.041, 0.178)
C (1.651, 0.134, -0.091)
I (-4.184, 0.360, 0.160)
H (2.397, -0.225, -0.727)
H (2.011, 0.056, 1.019)
H (1.636, 1.320, -0.276)

maximum force: 5.1 eV/Å
E_LUMO: -0.034 eV
HOMO level: -8.5 eV
charge: 0

Results of the Mulliken charge analysis, in e, for atoms 1 through 2: -0.56, 0.66

***

[2]
2 unconnected molecules or ions with the total composition C5H3N at a distorted geometry, computed with ωB97M-V/def2-TZVPD.

Atoms and positions in Å:
C (0.683, -1.530, 2.285)
C (0.599, -1.430, 1.101)
C (0.411, 0.809, -1.450)
C (-0.853, 1.203, -1.055)
C (-0.365, -0.355, -1.091)
N (-1.589, -0.069, -1.413)
H (0.878, -1.746, 3.353)
H (1.393, 1.307, -1.413)
H (-1.156, 1.811, -0.316)

maximum force: 4.6 eV/Å
E_LUMO (alpha / beta): -1.800 / -1.919 eV
HOMO level (alpha / beta): -9.6 / -9.6 eV
charge: 0

Results of the Mulliken charge analysis, in e, for atoms 1 through 2: -0.13, -0.47

***

[3]
A single C5H3N molecule at a distorted geometry, computed with ωB97M-V/def2-TZVPD.

Atoms and positions in Å:
C (-0.037, 0.084, 0.088)
C (1.259, 0.301, -0.302)
C (0.187, -1.149, -1.796)
C (-0.663, -0.827, -0.789)
C (1.648, -0.372, -1.471)
N (1.171, -1.150, -2.585)
H (-0.380, 0.685, 0.945)
H (1.784, 1.007, 0.119)
H (-1.621, -1.297, -0.687)

maximum force: 5.1 eV/Å
E_LUMO (alpha / beta): 0.864 / -1.781 eV
HOMO level (alpha / beta): -6.3 / -9.4 eV
<S²>: 2.0398
multiplicity: 3
charge: 0

Results of the Mulliken charge analysis, in e, for atoms 1 through 2: -0.18, -0.55

***

[4]
A gas-phase ion, C5H3N2O2 (charge +1) at a distorted geometry, computed with ωB97M-V/def2-TZVPD.

Atoms and positions in Å:
C (-0.677, 1.009, 0.233)
C (0.740, -0.529, -1.244)
C (0.614, -1.752, -0.824)
C (-0.312, 1.575, -1.052)
C (-0.133, -0.630, 2.056)
N (0.607, 0.609, -1.610)
N (-0.424, 0.003, 0.816)
O (0.547, -2.889, -0.837)
O (0.603, -0.189, 2.857)
H (-1.071, 1.898, -1.899)
H (0.352, 2.333, -0.750)
H (-0.845, -1.438, 2.255)

maximum force: 2.7 eV/Å
E_LUMO (alpha / beta): -6.649 / -6.650 eV
HOMO level (alpha / beta): -13.9 / -13.9 eV
charge: +1

Results of the Mulliken charge analysis, in e, for atoms 1 through 2: 0.29, 0.48

***

[5]
2 unconnected molecules or ions with the total composition C5H3N3O at a distorted geometry, computed with ωB97M-V/def2-TZVPD.

Atoms and positions in Å:
C (-0.905, 1.226, 1.087)
C (-1.757, 0.095, -0.850)
C (1.309, -1.502, 0.012)
C (-0.946, 0.085, 0.242)
C (0.936, -0.259, -0.546)
N (-0.842, 2.078, 1.865)
N (-2.573, 0.206, -1.653)
N (1.487, -2.495, 0.504)
O (1.541, 0.918, -0.313)
H (-0.905, -0.941, 0.739)
H (0.544, -0.293, -1.564)
H (2.111, 0.884, 0.477)

maximum force: 5.6 eV/Å
E_LUMO: -1.279 eV
HOMO level: -10.3 eV
charge: 0

Results of the Mulliken charge analysis, in e, for atoms 1 through 2: 0.23, 0.33

***

[6]
- - -
- The national budget, as well as most city and state ones, are balanced. People fear deficits more than they dislike taxes (which could in part explain the difficulty of keynesians in making their point in the US or Europe).
- People don't seem to prefer taxes that would benefit the majority and hit the wealthier. Wealth taxes are notably low, inheritance taxes have been abolished in most or all states. A couple of years ago, Swiss people even refused to correct a system distortion that creates tax havens for the super-rich a few miles away from Zurich business center.
- On the opposite, increases of VAT and gas tax have been approved.
- People like to keep as many things as possible separate from the national accounts. Most social benefits are entirely paid for by independent schemes. Contributions are either flat-rate or fix amounts per head.
We can risk a few explanations for all this:
- People are not rational.
- They are also economically illiterate, just like the journalists that would be supposed to inform them.
- Swiss economists who would be supposed to inform the journalists are either too lazy to speak out, or they are caught in conflicts of interests, because they receive money from financial institutions, who in turn make money with wealthy people.
- The lobby of the right is very efficient."
Here the link to Mark Thoma's article:
Posted by: Stephane Genilloud | May 25, 2012 at 10:17 AM
@Keith, People value private education because it produces an advantage in terms of outcome, specifically access to the better universities and the professions.
If you remove the advantage, by means of quotas, the preference is reduced to the intrinsic value of that education (e.g. Latin and elocution). Self-interested parents will realise that their kids chances in respect of the desired outcome will be better served by attending a state school.
It's worth remembering that the move towards comprehensives in the 60s and 70s was largely the result of pressure from middle class parents whose kids failed the 11-plus and couldn't afford private fees.
See: for more detail on this.
Posted by: Account Deleted | May 25, 2012 at 10:33 AM
Really good post and all the more topical when it has been revealed our bankers have cost the individual so much. Privatised gains and socialised losses shout inequality at full volume yet frustratingly, for those of trapped in the fallout, nothing changes.
Posted by: lifeafterdebt | May 25, 2012 at 08:24 PM
the description of the experiment and the results are impressively well done, Thanks
Posted by: eugenio proto | June 05, 2012 at 09:21 AM